Contents
<<<
Entry 1:
The following is a quantum chemistry calculation of a structure of composition C4H11NO, from the OMol25 dataset.

Element x y z (Å)
C -0.55163 -0.30004 0.43848
C 0.95210 -0.29579 -0.06138
C 1.22847 -1.80516 -0.38133
O 1.11957 0.51626 -1.15895
C -1.08657 1.11058 0.72892
N -1.41958 1.91173 -0.47389
H -1.20996 -0.71145 -0.33644
H -0.58502 -0.80791 1.37916
H 1.64789 -0.16144 0.85733
H 0.97763 -2.41555 0.48164
H 0.66178 -2.09771 -1.24030
H 2.27364 -2.06350 -0.49829
H 1.08001 0.96435 -0.08128
H -0.21657 1.68152 1.09994
H -1.94336 1.18106 1.36232
H -0.70503 1.80446 -1.18753
H -2.22337 1.48856 -0.92842

Computed properties:
Kohn-Sham gap: 10.2 eV
relative energy (zero: lowest compared OMol25 entry of this formula, charge and spin): 385.0 kJ/mol
multiplicity: 1

Here are the natural (NBO) charges for atoms 1 to 6, given in e: -0.43, -0.06, -0.60, -0.68, -0.22, -0.83



Entry 2:
The following is a quantum chemistry calculation of a cluster of 9 separate species, C15H48N12O9 in total, from the OMol25 dataset.

Element x y z (Å)
N 4.29178 -6.39908 8.98684
C 3.89758 -5.44283 8.13048
N 4.13509 -4.19174 8.62418
O 3.51440 -5.66635 6.98464
H 4.09273 -7.33222 8.65893
H 4.39689 -6.19768 9.96407
H 3.93861 -3.44559 7.97888
H 4.47087 -3.98606 9.54564
N -0.44586 -2.60103 13.65020
C -0.36788 -3.95989 13.54550
N -0.20881 -4.34511 12.25043
O -0.40405 -4.76172 14.46261
H -0.37979 -2.03519 14.47619
H -0.69083 -2.11795 12.80298
H -0.24864 -3.74669 11.44588
H 0.33597 -5.18768 12.16999
N -1.35828 -7.65147 5.33505
C -1.89916 -7.40934 4.11177
N -1.00060 -6.84157 3.28083
O -3.06448 -7.66664 3.83300
H -1.88937 -8.18170 6.00735
H -0.64180 -7.07912 5.75800
H -1.36902 -6.75178 2.34834
H -0.13380 -6.42965 3.56974
N -5.23581 -6.12274 8.88114
C -5.83489 -7.27436 9.19514
N -6.73989 -7.19380 10.17985
O -5.55419 -8.32069 8.61618
H -4.56114 -6.16741 8.13628
H -5.38986 -5.24987 9.35154
H -7.17350 -8.05754 10.45628
H -7.26892 -6.33733 10.19285
N 0.89964 -8.60414 9.56332
C -0.01854 -9.57784 9.84880
N 0.26453 -10.25679 10.97553
O -1.05521 -9.68687 9.22836
H 1.49537 -8.24620 10.28775
H 0.75174 -8.04399 8.73818
H 1.01242 -10.20483 11.64407
H -0.21515 -11.13405 11.10757
N 4.30961 -1.05654 4.42114
C 3.67315 -2.21698 4.69387
N 4.06344 -2.85593 5.80876
O 2.76886 -2.61618 3.96940
H 5.16994 -0.88044 4.90706
H 3.99698 -0.63544 3.56432
H 3.69919 -3.76020 6.07250
H 4.78387 -2.43604 6.37036
C -3.47412 -5.08805 11.56202
C -4.44372 -4.13216 12.29340
C -4.78453 -4.78873 13.64182
O -3.85488 -2.84697 12.43185
H -2.75668 -5.55870 12.23693
H -2.92904 -4.52308 10.80657
H -4.05295 -5.91286 11.14810
H -5.28090 -3.96683 11.61327
H -5.63367 -4.22589 14.04582
H -3.94441 -4.56747 14.30003
H -5.15515 -5.80996 13.61100
H -3.05638 -3.00508 12.95138
C 0.28818 -3.69864 7.17792
C 0.22592 -4.99513 7.99166
C -1.10080 -5.24114 8.62287
O 0.61576 -5.98885 7.02940
H -0.14507 -3.84774 6.19143
H 1.30897 -3.35051 7.00371
H -0.21392 -2.83462 7.62337
H 0.96657 -4.93898 8.79957
H -1.89689 -5.42441 7.89499
H -1.41017 -4.35806 9.18141
H -1.12844 -6.13394 9.25069
H 1.57314 -5.91392 6.91993
C -4.30784 -4.83824 5.41322
C -3.70594 -3.52478 5.00326
C -2.36195 -3.69382 4.24857
O -4.59762 -2.93715 4.06801
H -3.58994 -5.40360 6.02020
H -4.35408 -5.51823 4.55560
H -5.29502 -4.80508 5.86944
H -3.68542 -2.94945 5.93016
H -1.87002 -2.71981 4.24910
H -2.50133 -4.16942 3.28085
H -1.62268 -4.28698 4.79337
H -4.59168 -3.43141 3.24499

Computed properties:
Kohn-Sham gap: 8.5 eV
structure (SMILES): NC(N)=O.NC(N)=O.NC(N)=O.NC(N)=O.NC(N)=O.NC(N)=O.CC(C)O.CC(C)O.CC(C)O
relative energy (zero: lowest compared OMol25 entry of this formula, charge and spin): 184.9 kJ/mol
multiplicity: 1

Here are the Mulliken charges for atoms 1 to 6, given in e: -0.50, 0.83, -0.33, -0.79, 0.26, 0.19



Entry 3:
The following is a quantum chemistry calculation of a cluster of 5 separate species, C32H71N2S in total, from the OMol25 dataset.

Element x y z (Å)
N -4.70185 2.18166 -0.83065
S -3.43514 2.63386 -1.91857
C -1.92015 2.82338 -0.82374
>>>
Activity
Echo the rows further above from the first line to the one with "-4.30784 -4.83824" unchanged.
Worked solution
Entry 1:
The following is a quantum chemistry calculation of a structure of composition C4H11NO, from the OMol25 dataset.

Element x y z (Å)
C -0.55163 -0.30004 0.43848
C 0.95210 -0.29579 -0.06138
C 1.22847 -1.80516 -0.38133
O 1.11957 0.51626 -1.15895
C -1.08657 1.11058 0.72892
N -1.41958 1.91173 -0.47389
H -1.20996 -0.71145 -0.33644
H -0.58502 -0.80791 1.37916
H 1.64789 -0.16144 0.85733
H 0.97763 -2.41555 0.48164
H 0.66178 -2.09771 -1.24030
H 2.27364 -2.06350 -0.49829
H 1.08001 0.96435 -0.08128
H -0.21657 1.68152 1.09994
H -1.94336 1.18106 1.36232
H -0.70503 1.80446 -1.18753
H -2.22337 1.48856 -0.92842

Computed properties:
Kohn-Sham gap: 10.2 eV
relative energy (zero: lowest compared OMol25 entry of this formula, charge and spin): 385.0 kJ/mol
multiplicity: 1

Here are the natural (NBO) charges for atoms 1 to 6, given in e: -0.43, -0.06, -0.60, -0.68, -0.22, -0.83



Entry 2:
The following is a quantum chemistry calculation of a cluster of 9 separate species, C15H48N12O9 in total, from the OMol25 dataset.

Element x y z (Å)
N 4.29178 -6.39908 8.98684
C 3.89758 -5.44283 8.13048
N 4.13509 -4.19174 8.62418
O 3.51440 -5.66635 6.98464
H 4.09273 -7.33222 8.65893
H 4.39689 -6.19768 9.96407
H 3.93861 -3.44559 7.97888
H 4.47087 -3.98606 9.54564
N -0.44586 -2.60103 13.65020
C -0.36788 -3.95989 13.54550
N -0.20881 -4.34511 12.25043
O -0.40405 -4.76172 14.46261
H -0.37979 -2.03519 14.47619
H -0.69083 -2.11795 12.80298
H -0.24864 -3.74669 11.44588
H 0.33597 -5.18768 12.16999
N -1.35828 -7.65147 5.33505
C -1.89916 -7.40934 4.11177
N -1.00060 -6.84157 3.28083
O -3.06448 -7.66664 3.83300
H -1.88937 -8.18170 6.00735
H -0.64180 -7.07912 5.75800
H -1.36902 -6.75178 2.34834
H -0.13380 -6.42965 3.56974
N -5.23581 -6.12274 8.88114
C -5.83489 -7.27436 9.19514
N -6.73989 -7.19380 10.17985
O -5.55419 -8.32069 8.61618
H -4.56114 -6.16741 8.13628
H -5.38986 -5.24987 9.35154
H -7.17350 -8.05754 10.45628
H -7.26892 -6.33733 10.19285
N 0.89964 -8.60414 9.56332
C -0.01854 -9.57784 9.84880
N 0.26453 -10.25679 10.97553
O -1.05521 -9.68687 9.22836
H 1.49537 -8.24620 10.28775
H 0.75174 -8.04399 8.73818
H 1.01242 -10.20483 11.64407
H -0.21515 -11.13405 11.10757
N 4.30961 -1.05654 4.42114
C 3.67315 -2.21698 4.69387
N 4.06344 -2.85593 5.80876
O 2.76886 -2.61618 3.96940
H 5.16994 -0.88044 4.90706
H 3.99698 -0.63544 3.56432
H 3.69919 -3.76020 6.07250
H 4.78387 -2.43604 6.37036
C -3.47412 -5.08805 11.56202
C -4.44372 -4.13216 12.29340
C -4.78453 -4.78873 13.64182
O -3.85488 -2.84697 12.43185
H -2.75668 -5.55870 12.23693
H -2.92904 -4.52308 10.80657
H -4.05295 -5.91286 11.14810
H -5.28090 -3.96683 11.61327
H -5.63367 -4.22589 14.04582
H -3.94441 -4.56747 14.30003
H -5.15515 -5.80996 13.61100
H -3.05638 -3.00508 12.95138
C 0.28818 -3.69864 7.17792
C 0.22592 -4.99513 7.99166
C -1.10080 -5.24114 8.62287
O 0.61576 -5.98885 7.02940
H -0.14507 -3.84774 6.19143
H 1.30897 -3.35051 7.00371
H -0.21392 -2.83462 7.62337
H 0.96657 -4.93898 8.79957
H -1.89689 -5.42441 7.89499
H -1.41017 -4.35806 9.18141
H -1.12844 -6.13394 9.25069
H 1.57314 -5.91392 6.91993
C -4.30784 -4.83824 5.41322